Security is Dead 1 - Passwords

Oct 13, 2019 in #infosec #securityisdead

I've often joked with friends that I will write a book on Information Security, It seems to have gone in the direction of an introduction on certain topics for people who might care, but are not in the industry.

What follows is a draft of the chapter on passwords.


What is a password?

Wikipedia defines a password as:

A password is a word or string of characters used for user authentication to prove identity or access approval to gain access to a resource (example: an access code is a type of password), which is to be kept secret from those not allowed access.

A password is a set of characters, words, symbols numbers that is used to enable a person (or, another system) to authenticate themselves, proving they are who they claim to be. As part of the authentication process, passwords are usually paired with a user name, allowing a user to have a unique combination that is secret, allowing them to "securely" authenticate with a resource, and with the amount of accounts you have on the Internet, most people are very familiar with the concept to some level.

The History of the computer password

Whilst passwords existed before computers, as far back as the Roman Military, in computer use, they have been used back as far as 1961, one of MIT's computers had a LOGIN command that required the user to enter her password, but like with modern systems it didn't print the characters to screen. This was a pretty amazing feature considering the age, this would have prevented anyone from watching a user enter a password and using it themselves which is known as shoulder surfing, a lot of modern systems replace each character with a * or a circle character which allows a user to know their keyboard is working. Almost 60 years later and this basic Username and Password is still the default authentication method. Great.

Most likely, everyone you know has a phone, and probably accounts on apps and websites like Facebook or Snapchat, most of which using the good old username and password combination, but with that, advice has traditionally been to use "complex" passwords that are a combination of letters, numbers and symbols. Enforcing these rules leads to users creating passwords that are not ideal, such as Password1 passing the complexity requirements for a lot of systems assuming they enforce them, These typically range from adding a number, which leads to insecure passwords like password1 or to the needlessly complex requirement of having a number, a symbol, a capital letter, or a mixture thereof, which is how we get to our good friend Password1. But even if a user created a password that was hard for a human to guess, say, |i*g^%GH, someone using a computer to automatically check all 8 character length password would not take long to crack this. We have been trained to memorise passwords that are difficult for us to remember, and easy to crack.

Common Passwords

According to SplashData, who compile the top passwords from data breaches the top 10 passwords from 2017 were:

Click here if you've forgotten your password

So even if you've got the most secure password ever, something that might negate all that good work you've done is the ability to reset your password should you forget it.

In the past, the way to reset a password was based solely on a few questions that were set when creating the account. Your date of birth, your first pet's name or your Mother's maiden name were common ones. Unfortuntately these questions are not difficult to guess or find out and with that little bit of knowledge, a bad guy could gain access to your account by resetting your password.

Now in most modern systems, a password reset requires a link to be sent to your email, which you can then click and reset your password from there. This would negate the guessing of the answers to secret questions. This does however mean that your email is the gateway to all accounts, protect it wisely!

How is your password saved on a website?

(Between two parts of the page: records of molecules)
********
11
Properties=species:S:1:pos:R:3 method="wB97M-V/def2-TZVPD" homo_ev=-25.983 total_energy_ev=-35103.199 total_charge=+5 orbital_gap_ev=6.77 spin_multiplicity=1
Ag 1.522 -1.704 -3.024
Ag -1.240 0.233 3.683
Ag 1.187 2.273 0.648
Ag -1.342 -2.516 1.268
Ag 2.711 1.489 -2.271
Ag -2.524 0.488 -2.491
Ag 1.881 -1.574 1.694
C -0.665 0.204 0.052
O -1.565 1.044 -0.027
O 0.416 0.370 -0.767
O -0.380 -0.307 1.236


Entry 1:
Here is C40H36F5N4O as an isolated structure at a distorted geometry from the Open Molecules 2025 dataset. Energies are from ωB97M-V with the def2-TZVPD basis set.

Last column: Mulliken charge in e.
Element x y z (Å)
C: -6.40907 -1.32723 2.03783  -1.419
C: -5.19919 -0.46039 1.85772  0.833
C: -4.27441 -0.75962 0.85923  -0.897
C: -3.08727 -0.03753 0.73153  1.474
C: -2.12159 -0.39317 -0.35648  -0.877
C: -2.85188 1.03719 1.62521  -0.353
N: -1.52102 1.56049 1.76882  0.968
C: -0.93394 2.59155 0.93055  0.731
N: 0.40559 2.11104 0.68838  0.612
C: 1.29402 3.19144 0.58067  -0.485
C: 0.62593 4.36641 0.90468  0.529
C: -0.69306 4.00723 1.52448  -1.135
C: 1.23511 5.57856 0.60559  -0.566
C: 2.51093 5.55343 0.01671  0.710
C: 3.09099 6.80272 -0.56399  -1.447
C: 3.24586 4.35445 -0.03653  -1.016
C: 2.63894 3.12002 0.22386  1.096
C: 3.37621 1.82368 0.14389  -1.805
C: 0.61232 0.94561 1.40540  -0.217
C: -0.51890 0.63933 2.07505  -1.511
C: -3.83180 1.43072 2.55587  0.399
C: -3.61115 2.61712 3.43906  -1.613
C: -4.98031 0.65337 2.66839  -1.001
H: -6.90476 -1.10669 2.98820  0.400
H: -7.14147 -1.17057 1.23490  0.277
H: -6.13055 -2.38880 2.02710  0.354
H: -4.49377 -1.57870 0.16880  0.390
H: -1.31473 -1.05354 -0.00115  0.468
H: -2.64427 -0.92017 -1.16720  0.440
H: -1.65399 0.50105 -0.79380  -0.462
H: -1.47521 4.71371 1.24436  0.640
H: -1.53837 2.69189 -0.07260  -1.656
H: -0.65848 3.91584 2.63312  0.413
H: 0.72181 6.51460 0.81615  0.336
H: 4.14610 6.65702 -0.82659  0.401
H: 2.56035 7.09522 -1.48365  0.135
H: 3.01448 7.64281 0.13743  0.352
H: 4.30215 4.35856 -0.32567  0.340
H: 4.36983 2.00366 -0.27661  0.403
H: 3.51931 1.36770 1.13445  0.346
H: 2.86435 1.09629 -0.49762  0.353
H: 1.55846 0.43078 1.42470  0.572
H: -0.70132 -0.18796 2.74205  0.538
H: -4.57310 3.05607 3.73596  0.472
H: -3.08157 2.34356 4.36316  0.340
H: -3.02431 3.38611 2.92206  0.145
H: -5.72770 0.89797 3.41706  0.391
C: -0.84313 8.55070 -1.71022  -0.829
N: -0.46337 7.47694 -2.62467  0.241
C: 0.30454 7.66276 -3.76541  -0.897
C: 0.34111 6.48122 -4.42389  -0.385
N: -0.36861 5.55443 -3.67761  0.525
C: -0.50215 4.16463 -4.05709  -2.022
C: -1.21739 3.81694 -5.19545  0.654
F: -1.77841 4.79571 -5.94289  -0.320
C: -1.40593 2.48275 -5.54909  0.450
F: -2.09712 2.15713 -6.66069  -0.310
C: -0.90504 1.47184 -4.72825  0.844
F: -1.16403 0.17518 -5.00478  -0.352
C: -0.16146 1.79927 -3.59022  0.004
F: 0.27196 0.83188 -2.73489  -0.366
C: 0.05983 3.14106 -3.30460  1.505
F: 0.80345 3.47703 -2.21766  -0.119
C: -0.86136 6.17134 -2.57990  -0.116
C: -1.56174 5.53913 -1.45723  0.868
C: -2.08803 4.22995 -1.70553  -1.501
********

You might be thinking, "How does a website store my password?", and you're onto a good question there because depending on how it is stored can mean there are some more threats that you should be aware of in your online life.

The journey of a password starts on your computer or phone or tablet, you type it into a box, then it's validated somehow against a known copy of your password. For webservices this would be stored most likely in a database on a server somewhere on the internet / in the cloud ☁. When the internet was young, sometimes this was just stored as the plain text version of your password, so if your password was Password1 this was stored in the database, but as you can imagine, this is not ideal. An admin could see your passwords on the server. Or if the data was breached, a bad guy could just see your password! To solve this, we hash a password.


Passwords, for websites, or even computers are usually stored in a form known as a "hash". Understanding how hashing a password works isn't important, all you need to know is that a hash is a black box that when given an input (I.e. your password), it should produce an output that is unique to the input. Additionally, this should be a one-way process, meaning that it is not obvious from the output what the input was. The hashing function also needs to be deterministic so that for the same input, the output is always the same.

An example of this would be a hashing function called "sha256", which would turn the horrible password of password into 6b3a55e0261b0304143f805a24924d0c1c44524821305f31d9277843b8a10f4e. So when a website wants to verify the user and password are correct, it performs the sha256 hash on the password that the user enters and see if it matches the hashed value stored on the server. This means that the website would not know what the password is based solely on the hash that it keeps stored. However, knowing a list of common passwords and the hashing function used, its possible to build up a database of hashes so that you know that when you see 6b3a55e0261b0304143f805a24924d0c1c44524821305f31d9277843b8a10f4e, it's actually password. This would also mean that if two users shared the same password, the hash would be the same. This problem is solved by using salting.

This problem is actually a useful feature in other domains, for example if you run a hash function across a set of files and you want to find duplicates, if the contents of the file are exactly the same, then the hash should be the same, you can also use this to verify files downloaded from the internet have not been modified. Although a "hash collision" is where two different inputs produce the same output hash. Go read about the pigeon hole principle if you want to know more and go down that rabbit hole 🐇


Salting is the process of adding on a random string or bit of data to each user's password before it is hashed so that even when two users share the same password, the password hash that we store for each of the users won’t be the same. For example, our lovely user is still using the password of password, however now that we are salting the passwords, we add salt of 6 random characters to the end of the password, in this example, "abcdef" so then run the hash against passwordabcdef, which when hashed gives us 1a7d8a297d27da26806a242253747eb89335a487b017889173cbe73e33ca2ecd, which isn't the same as when we hashed this without a salt. Following this another user using the same password, however, by using a different salt of "uvwxyz" we run the hash function against passworduvwxyz to get 2ffffedc299bcf0c25de41b3174fdfd5d11c3248d8c9d520fa80a4370a682dd2, again different from the other two times we ran the hash function. So even though the users have the same passwords, the salted hash stored on the server is not the same. By doing this, we protect against anyone looking at the data knowing that both users have the same password. Of course, we have to store the salt on the server too so that when the user enters password we know what to salt it with before hashing, but this is acceptable as we are defending against the stored hash having the same value between two users sharing the same password. This has the added benefit of making it harder to crack the passwords if the data is leaked as the hashes can’t be precomputed into a rainbow table either.

Beyond the Password

So given that the password isn't going away, is there a way to improve it, or augment it to make it more secure?

Password advice has had a bit of a renaissance recently after decades of advice, first off, advice that increases the probability that your password will not be cracked or guessed.

Changing passwords often

One of the long-standing pieces of advice that has been around for ages, is that of changing your passwords often, this is especially common in enterprise environments where it is sometimes enforced on the user. Forcing the user to change password after a set time introduces its own set of problems, and I myself struggle with this archaic process. First off, this is going to tempt the user to use terrible passwords, for example, if a user must change it every month there might be a temptation to use a system like Password1June in June, Password1July in July etc. If I must change it every year, Password12018 and Password12019. Even worse, a user might just write it on a post-it-note which will be lurking around their computer or under their keyboard. You can also be sure that if a bad guy sees your password is Password12018 and that doesn't work in 2019, they are going to try Password12019 as well.

Unrelated to this text: calculated molecules.
'''
{
  "formula": "C4H12NO2",
  "method": "the ωB97M-V functional and the def2-TZVPD basis",
  "species": ["H", "H", "H", "H", "H", "C", "O", "H", "C", "C", "H", "C", "H", "O", "H", "N", "H", "H", "H"],
  "xyz": [[2.110, 1.837, -1.544], [-1.156, -1.769, 2.638], [0.962, 2.601, 0.746], [0.497, -1.041, -0.896], [1.427, 1.001, 1.376], [0.360, 0.936, -0.499], [1.860, -0.141, -2.008], [-0.230, 1.530, 1.480], [0.656, 1.565, 0.843], [1.576, 0.878, -1.454], [-2.090, 0.145, -0.969], [-1.480, -0.756, -0.950], [0.167, -2.468, 2.458], [-0.543, -2.058, 1.948], [-1.360, -1.034, -1.996], [-0.136, -0.465, -0.353], [-0.215, -0.733, 0.636], [-0.386, 1.501, -1.030], [-2.021, -1.530, -0.426]],
  "forces_ev_per_angstrom": [[0.16, -0.16, -0.27], [-0.14, -0.07, -0.09], [0.08, 0.06, -0.07], [0.85, -0.51, 0.23], [0.11, 0.16, -0.12], [0.62, -0.22, -0.32], [0.24, -0.21, -0.22], [-0.07, 0.17, -0.10], [-0.02, -0.43, 0.45], [-0.64, 0.39, 0.87], [0.06, 0.04, 0.32], [-0.55, 0.72, -0.88], [0.10, -0.11, -0.18], [0.00, 0.33, 0.31], [0.17, -0.15, 0.08], [-1.38, 0.38, -0.14], [0.59, -0.47, 0.05], [-0.47, 0.32, -0.21], [0.29, -0.23, 0.28]],
  "gap_ha": 0.424,
  "largest_force_ev_per_a": 1.43,
  "energy_ev": -9921.1047,
  "homo_ev": -14.78,
  "de_lowest_kcal_mol": 25.9,
  "charge": 1
}

{
  "formula": "C3H6Br2OS",
  "method": "the ωB97M-V functional and the def2-TZVPD basis",
  "species": ["H", "Br", "H", "S", "C", "H", "H", "C", "H", "H", "Br", "C", "O"],
  "xyz": [[2.154, -1.047, 0.232], [-1.672, 2.077, 2.331], [-1.590, -0.701, -0.453], [0.347, 0.523, 0.132], [0.528, -0.027, 1.854], [-1.222, 0.276, -1.960], [1.876, -0.297, -1.402], [1.452, -0.864, -0.629], [0.857, -1.675, -0.875], [-1.873, 1.182, -0.483], [-0.356, -1.626, 2.137], [-1.262, 0.289, -0.769], [0.762, 1.890, -0.115]],
  "forces_ev_per_angstrom": [[-0.48, -0.06, -1.19], [0.95, -1.03, -0.27], [-0.57, 0.29, 0.19], [-0.97, -0.74, -1.25], [-0.81, 1.72, -0.24], [0.71, 0.10, 2.59], [0.87, 0.24, -1.33], [0.36, 2.89, 3.40], [-1.08, -1.48, -0.55], [0.40, -1.10, 0.19], [-0.30, -0.28, -0.09], [0.30, 0.36, -1.63], [0.63, -0.91, 0.18]],
  "gap_ha": [0.276, 0.229],
  "largest_force_ev_per_a": 4.48,
  "energy_ev": -156170.2026,
  "homo_ev": [-9.20, -8.59],
  "de_lowest_kcal_mol": 109.8
}

{
  "formula": "C5H9NO",
  "method": "the ωB97M-V functional and the def2-TZVPD basis",
  "species": ["C", "H", "O", "C", "H", "C", "H", "N", "C", "H", "H", "H", "H", "C", "H", "H"],
  "xyz": [[1.211, 0.893, -0.285], [0.199, -1.129, -1.955], [-1.986, -0.143, 0.055], [0.121, -0.973, -0.825], [-2.662, 0.384, -0.547], [0.417, -0.577, 1.158], [1.733, 1.369, 0.449], [1.362, -0.634, -0.147], [-0.125, 1.336, -0.002], [0.495, -1.610, 1.566], [0.521, -0.094, 2.031], [-0.858, 2.180, -0.655], [-0.239, 1.706, 1.252], [-0.632, -0.044, 0.004], [-0.259, -2.187, -0.501], [1.478, 1.145, -1.357]],
'''

The idea behind cycling passwords often came about out of the fear that stolen credentials could be used by the bad guys months, or years after that they have been stolen, but more recently the better advice is that detecting suspicious logins to services would provide more protection than your average user having a password such as Password1August. Things as simple as the location a login is from can be enough to detect a suspicious session, for example, if a user usually logs in from London then a login from China might be suspicious and require an extra step to attempt to verify the user (Just like your bank might stop a transaction in a similar manner). Some systems take this even further by calculating impossible travel times, a user might frequently travel from London to China, but they shouldn't be able to login from both the countries in the same hour.


It’s more secure to have a password that is longer, what is sometimes referred to as a passphrase, than it is to have something short. There’s no business like show business would be much harder to crack than p@ssw0rd1, but most systems require such an arbitrary symbols, letters, numbers, etc. and some even put a maximum limit on the length!

Unique Passwords

Keep each password unique for each account, sounds like a lot of work for a normal person. However, the bad guys are always on the lookout. If you use a single password, and one of these services is hacked, or someone guesses the password, that's all your accounts that could be at risk. It could even be that time you want to watch Netflix at someone's house, and they see you enter Password123 on the tv, they would now know your password for Amazon, or your bank. Whilst your mates might not care, the bad guys will, and the same thing happens on the internet, websites can be compromised and then your password is out there! Therefore password managers and services have popped up.

Password Managers

Password Managers are brilliant. It's really a simple concept that helps you to use unique passwords for each account. By doing this should one of the sites get breached you have limited the damage to that one site. Whereas if you were to use that password for everything, they bad guys will now have access to all your accounts, even if you use a system. Password Systems Before password managers were really a thing, some people, and myself included used a "system" to create unique passwords, for example, we might have a master password like SuperSekretPassword, which we then append the name of the site to, such as "google", so our google password would be SuperSekretPasswordGoogle, the hardcore might have even hashed this to make it less obvious. Even then, it can still be worked out by the astute bad guy.

Records of molecules that have nothing to do with the text
+++
(1)
This record from the Open Molecules 2025 dataset describes a molecular structure, C42H36N4O13TeW. The level of theory is ωB97M-V/def2-TZVPD.

Structure (ORCA input):
```
! wB97M-V def2-TZVPD RIJCOSX def2/J DEFGRID3
* xyz 2 1
W 0.1019 -0.6279 0.5954
O -0.6853 -2.4654 -0.6303
C -1.6565 -3.3448 -0.0381
C -1.0532 -3.8267 1.2389
N -0.7274 -2.6561 2.0803
C -1.8419 -2.1442 2.8751
C -1.9848 -0.6630 2.5856
O -2.9898 -0.0341 2.5774
O -0.7508 -0.1421 2.2851
C 0.4798 -2.9214 2.8599
C 1.6844 -2.7855 1.9485
O 2.7560 -3.2417 2.1852
O 1.4032 -2.0649 0.8415
H -1.1288 -2.0750 -1.4274
H -1.8465 -4.1660 -0.7293
H -2.5960 -2.8133 0.1343
H -0.1278 -4.3607 1.0197
H -1.7201 -4.5137 1.7655
H -1.6678 -2.2644 3.9474
H -2.7773 -2.6446 2.6307
H 0.4796 -3.9207 3.3027
H 0.5774 -2.1956 3.6723
C -5.5260 3.5538 -1.2392
C -4.4615 2.5262 -0.9740
C -4.6551 1.1844 -1.3084
C -3.6922 0.2170 -1.0659
C -3.8468 -1.1949 -1.5538
O -2.8879 -1.7358 -2.0877
C -5.1306 -1.8913 -1.3677
C -5.4190 -2.9904 -2.1809
C -6.6004 -3.6853 -2.0047
C -7.4882 -3.3014 -1.0047
C -7.1994 -2.2206 -0.1823
C -6.0264 -1.5075 -0.3670
C -2.5053 0.6104 -0.4518
O -1.6207 -0.3274 -0.0858
C -2.2313 1.9489 -0.1873
C -3.2412 2.8922 -0.4347
C -0.8790 2.3692 0.1291
N 0.1361 1.5643 0.3315
C 1.4808 2.1968 0.2871
C 2.0515 2.4389 1.6679
Te 2.0235 0.5715 2.6959
C 4.1007 0.2841 2.4498
C 4.8862 1.3026 2.9830
C 6.2668 1.2004 2.9248
C 6.8591 0.0847 2.3491
C 6.0683 -0.9337 1.8393
C 4.6827 -0.8435 1.8897
C -0.6661 3.8470 0.1351
C -0.5623 4.5474 -1.0636
C -0.3872 5.9219 -1.0395
C -0.3441 6.5985 0.1732
C -0.4781 5.9014 1.3651
C -0.6351 4.5222 1.3505
H -6.4905 3.0857 -1.4239
H -5.2730 4.1526 -2.1152
H -5.6320 4.2323 -0.3942
H -5.5839 0.8864 -1.7807
H -4.7171 -3.2713 -2.9547
H -6.8374 -4.5235 -2.6452
H -8.4114 -3.8479 -0.8686
H -7.8905 -1.9324 0.5974
H -5.7983 -0.6694 0.2804
H -3.0601 3.9345 -0.2107
H 1.4265 3.1335 -0.2644
H 2.1328 1.5381 -0.2784
H 1.4986 3.1823 2.2350
H 3.1008 2.7157 1.6058
H 4.4504 2.1752 3.4532
H 6.8768 1.9936 3.3341
H 7.9363 0.0084 2.3019
H 6.5253 -1.8096 1.3981
H 4.0859 -1.6441 1.4806
H -0.6121 4.0196 -2.0084
H -0.2932 6.4672 -1.9682
H -0.2178 7.6720 0.1874
H -0.4688 6.4310 2.3076
H -0.7703 3.9798 2.2789
O 0.7489 -1.7711 -2.8091
C 1.5147 -1.2364 -2.0753
O 1.0186 -0.4455 -1.0400
C 2.9851 -1.2315 -2.2252
C 3.5227 -1.9925 -3.2607
C 4.8879 -1.9874 -3.4424
C 5.7452 -1.2316 -2.6637
C 5.1702 -0.4677 -1.6697
C 3.8148 -0.4747 -1.4141
N 6.0173 0.4290 -0.8669
O 5.4437 1.3040 -0.2511
O 7.1991 0.1986 -0.8315
N 5.4633 -2.8137 -4.5312
O 4.6873 -3.4718 -5.1798
O 6.6640 -2.8037 -4.6411
H 2.8873 -2.5792 -3.9097
H 6.8119 -1.2282 -2.8410
H 3.4410 0.1133 -0.5877
*
```

Computed properties:
- LUMO (eV) = -7.56
- ΔE to the lowest compared entry with this formula, charge and spin (kcal per mole) = 0.0
- electronic energy (eV) = -85817.38768
- HOMO-LUMO gap (Ha) = 0.2384

***

(2)
This record from the Open Molecules 2025 dataset describes a molecular structure, C33H27F9N3SSeTa. The level of theory is ωB97M-V/def2-TZVPD.
+++

You know what, I'd even go so far as to say, a password protected spreadsheet with unique passwords is better than using the same password for everything. Of course, this would not be the best idea should you lose the file, so a service providing this is much better.

Multi factor

An extension to having just a user name and password, would be to have a user name, password AND another factor. A second factor is generally something you have, which can take the form of a hardware key or device that will generate a time based code, or you might have to accept the login on your phone or in an app that sends you a push notification. It can also be in the form of a SMS text message to your phone, although this is generally considered insecure as it's possible to hijack SMS messages.

Upon logging in with your user name and correct password, you will then be prompted either for a code from your second factor, or some apps will popup on your phone, which has the benefit of notification if someone has your password and tries to log in as you. Apple in particular sends a great notification to a known device with the location of the user attempting to log in.

Taking this concept even further, the holy trinity of user authentication is the combination of:

"Something you are" is something that is unique to you and only you, such as a finger print, iris scan or in lots of modern devices, your face. Although we have all seen the movies where the villain (or hero) removes a hand, finger, eye to open a door to a nuclear missile or something. (Shame they relied on a single factor for that nuclear silo door, can't get the password out of a dead man).

"Something you have" is generally a physical item that contains a unique code or property that can be verified, so an authenticator app on your smartphone, or an SMS to a phone at a push.

"Something you know" would be your password (and username) that should be kept secret.

Sure, you can't change your fingerprint, so is this a bad idea for your phone? I'd argue that it is more than fine for most people. A normal person's threat model contains the situation where a phone is either lost somewhere, say left in on a plane, or that someone will steal it. Unless you are the target of a nation state or other Advanced Persistent Threat (or APT as we call it in the industry) the unfortunate soul who steals your phone isn't going to be able to do much with it. (unless they take your finger along for the ride, and then you have bigger problems) Fingerprints are fine for authentication to a mobile device.
